Friday Frivolity: Girls

Quick post today as I am gearing up for ringing in the New Year this weekend but I meant to share this great preview last week.

One of my favorite movies of 2010 was Tiny Furniture, written, directed and starring the brilliant and witty Lena Dunham.  While I haven’t always been a mumblecore fan, Tiny Furniture just nailed postcollegiate female malaise perfectly.  Of course, how thrilled was I to learn that Ms. Dunham has created a new show for HBO called Girls!  Produced by Judd Apatow (which certainly can’t hurt the funny), Girls looks like it will be a delightfully droll comedy about the challenges of life in your 20s.

Check out the trailer.  If you don’t say “that is my life” at least once, you’re probably too mature and responsible to be reading this blog anyways.

Happy New Year and I’ll see you in 2012!

Music Monday: Holiday Tuneage

‘Tis the season to already be annoyed with holiday music before Christmas has even had a chance to get here.  I love holiday music but I tend to prefer to have it as a soundtrack for holiday activities (present shopping, decorating, baking, or trying on Christmas party outfits) rather than a 24/7 stream from Thanksgiving day on.  Luckily, as I am only two days away from being on a plane headed home for Christmas, I feel festive enough to listen with reckless abandon.

Everyone has their holiday favorites and The Waitress’ Christmas Wrapping is mine.  I love that it has a great narrative and a danceable beat and manages to not get old, even during daily listening sessions.

So, deck those halls and trim those trees and raise a cup of Christmas cheer and get ready to rock!

**Records of molecules, as found in the file:**
'''
Molecular formula: C5H12O2
Method: DFT, ωB97M-V/def2-TZVPD

Each line ends with the Mulliken charge.
CARTESIAN COORDINATES (ANGSTROEM)
1 O -2.44731 1.96045 -0.02086  -0.661
2 O -2.34006 -1.23407 0.49177  -0.458
3 C 1.21949 -1.15778 -1.16964  -1.268
4 C 0.53598 -0.10719 -0.27981  1.118
5 C -0.00087 -0.56494 1.13506  -1.000
6 C -1.28518 -1.43607 1.02262  0.067
7 C 1.20098 1.26582 -0.26548  -1.543
8 H 1.06369 -2.12341 -0.64154  0.308
9 H -2.07949 1.08052 0.08849  0.306
10 H 0.71364 -1.08835 1.78181  0.410
11 H -1.84467 2.64354 -0.35811  0.316
12 H 1.60589 1.46718 -1.27051  0.431
13 H 0.69706 -1.44674 -2.08619  0.294
14 H -1.12664 -2.40810 1.52891  0.329
15 H -0.49683 0.07037 -0.62274  -0.057
16 H 0.58281 2.15781 -0.09058  0.276
17 H 1.99443 1.33572 0.49554  0.344
18 H -0.22411 0.37763 1.63721  0.392
19 H 2.23120 -0.79239 -1.37596  0.396

Output
- Relative energy (zero: lowest compared OMol25 entry of this formula, charge and spin): 173.5 kJ/mol
- Frontier orbital gap: 10.902 eV
- Spin multiplicity: 1
- HOMO level: -0.3723 hartree
- LUMO level: 0.771 eV



Molecular formula: C3H14N2O2
Method: DFT, ωB97M-V/def2-TZVPD

Each line ends with the Löwdin spin population.
CARTESIAN COORDINATES (ANGSTROEM)
1 O 0.20767 -1.74936 -1.59295  0.001
2 O 0.19620 0.69146 -2.08458  0.009
3 N 0.83050 -0.05840 1.06471  0.078
4 N -0.45030 -3.18922 0.85663  0.002
5 C -0.72773 1.87218 1.48403  0.082
6 C -0.35775 0.65488 0.74019  0.602
7 C 0.25427 2.57413 0.43133  0.095
8 H -0.25673 -2.84782 -0.10108  0.000
9 H -0.33557 2.85138 -0.44015  0.001
10 H 0.25221 -2.31741 -2.36205  0.000
11 H -1.77010 2.11895 1.33968  0.005
12 H 0.52380 3.56041 0.92042  0.040
13 H 0.26009 -0.36794 -1.93979  0.000
14 H 1.17996 2.21995 -0.00248  0.010
15 H 1.54138 0.09826 0.36153  0.019
16 H -0.03755 -4.11410 0.93771  0.000
17 H -0.99852 0.31417 -0.06007  0.028
18 H -0.33256 2.08320 2.47090  0.011
19 H 0.67079 -1.04302 1.22792  0.014
20 H -1.44601 -3.27580 1.00130  0.001
21 H -0.21178 0.79331 -2.95863  0.000

Output
- <S²>: 0.75
- Charge: -1
- Relative energy (zero: lowest compared OMol25 entry of this formula, charge and spin): 136.9 kJ/mol
- Frontier orbital gap (alpha / beta): 6.235 / 8.234 eV
- Spin multiplicity: 2
- HOMO level (alpha / beta): -0.0742 / -0.1535 hartree
- LUMO level (alpha / beta): 4.216 / 4.058 eV



Molecular formula: C46H95N2O14PS10
Method: DFT, ωB97M-V/def2-TZVPD

Each line ends with the Mulliken charge.
CARTESIAN COORDINATES (ANGSTROEM)
1 S -2.47225 5.49876 -3.25420  0.606
2 S 10.20035 3.71391 -1.74437  0.563
3 S 0.55158 1.35357 -3.67782  1.020
4 S 5.27015 4.89066 5.83126  0.392
5 S -7.49353 2.38913 5.90493  0.407
6 S 6.92026 1.24122 2.27087  0.242
7 S 1.72168 1.31471 -7.80316  0.716
8 S 2.83396 -3.81002 -3.10635  -0.343
9 S 6.19118 -4.67660 -2.41870  1.017
10 S -6.79032 -3.70867 8.38429  0.414
11 P -1.52619 -0.96661 -0.05077  1.143
12 O 7.41614 -4.82248 -1.68167  -0.644
13 O -0.31982 1.35415 -4.88996  -0.614
14 O 2.03427 -1.27131 2.71248  -0.432
'''
**Back to the text:**

Friday Frivolity: The Reason for the Season

This Friday feels especially full of frivolity, as Christmas is just around the corner and with it comes my week-long vacation home to Texas.  I love the District and have had such a great couple of months but I’m looking forward to going home for delicious eats and quality family time.  With my vacation next week and Treat Yo’ Self-themed holiday party tomorrow evening, I finally feel filled with the holiday spirit.

Of course, living in the gravy-drenched heart of the Bible Belt, I would often spend this time of year accosted with reminders that there is a reason for the season.  I’m not particularly interested in the religious aspects (especially given Christmas’ pagan roots) but as the year comes to a close, I always find myself taking advantage of this time of year to remember how lucky and fortunate I am.  This blog, while fun to write (and hopefully fun to read!), is chock full of a lot of first world problems.  I often look internally to myself for this blog but in the spirit of the season, I wanted to look externally at the world around me and see if I can make a little change.

So, for this holiday frivolity, here are ten truly fantastic charities, all of which would make great gift options or give each of us a chance to pass along our good fortune.

1. First Book – A great charity that has donated over 85 million books to schools and youth programs that serve at-need children.  I grew up in a house that was full of books, so making sure every child has access to reading material is a favorite cause.

2.  Partners in Health – PIH focuses on providing universal access to primary health care, fighting disease as a means of fighting poverty, training community  health workers, and partners with local and national governments to further their reach.

3. Animal Advocates Alliance – The AAA is a great group that focuses on moving animals out of high-kill shelters and into safe, loving homes.  Even if you can’t take in an animal, AAA gives you a great way to show your love for man’s best friend.

4. Pencils of Promise – I love PoP – 100% of online donations go straight to their programs – and I love their approach to build schools.  Just $25 provides one year of sustainable education to a child in a developing nation.

5. USO – With their mission Until Everyone Comes Home, I’ve witnessed first-hand the impact the USO has on the lives of the deployed and the military families waiting at home.  I love that the Wish Book lets you designate your donation for something that has a direct impact, like a phone call home or a care package.  (Also consider Give An Hour, which provides free mental health services to soldiers returning from Iraq and Afghanistan.)

6. Drive To End Hunger – Over 35 million Americans over the age of 50 don’t have enough to eat.  AARP’s Drive to End Hunger initative works both with local food banks and food outreach programs as well as working one-on-one with seniors to make sure they get the nutritious meals they need.

7. Elizabeth Glaser Pediatric AIDS Foundation – There are many worthwhile AIDS-related charities, but Glaser is one of the oldest and largest, with many great giving options, especially if you enjoy shopping for charity.

8. Nothing But Nets – A great cause with a simple goals – use insecticide-treated nets to help prevent the spread of malaria.  Make a $10 donation, 100% of that money goes to one net.

9. Breast Cancer Deadline – Again, there are many worthwhile cancer-related charities and as most of us have lost someone we’ve loved to cancer, I’d encourage you to give to a local organization working in your community.  However, for national organizations, I am most inspired by the work the National Breast Cancer Coalition is doing with providing scientists with the funding and the support they need to end breast cancer.

10. GEMS – The commercial and sexual exploitation of young girls and women is a cause close to my heart as well and GEMS provides a wide range of services across the country.  Not only do the offer prevention and education on the issue, they provide transitional housing, counseling, and legal assistance to those who need it.

For more information, visit these organization’s websites or search Charity Navigator or Charity Watch for a cause of your choice.

Happy holidays!

Making Us All Look Bad

I think twenty-somethings get a bad rap.  In various media trend pieces this past year, we’re described as self-centered, immature, foolishly optimistic, or entitled, which is of course, ridiculous.  Most people I meet my age are bright, creative, ambitious, dedicated, and compassionate.  On top of that, most of us who are gainfully employed feel a genuine sense of appreciation and responsibility, having found stability in a difficult time.

Which is why I’m a little infuriated with a hot story circulating around the DC blogs about congressional staffers engage (and tweeting) about on the job drinking.  As TwentySomething City points out, while the office of a Congressman of the minority party may not be a hotbed of legislative activity and all the messages were sent using personal Twitter accounts, this doesn’t reflect well on Congressman Rick Larsen – or on twentysomethings!

This validates two complaints I often here from collegues in their 30s and 40s about twentysomethings in the workplace – 1) they don’t know how to use social media responsibly on the job and 2) they feel they are entitled to goof off/space out/focus on personal activities on the job.  Looking at the Twitter messages of the offending staffers will make you cringe.  References to taking shots in the office, showing up drunk, bragging about your taxpayer salary paying for you to watch YouTube videos – there’s really no good way to spin this.

I realize this is a case of a few rotten apples spoiling the bunch – and I’d be lying if I said I never tweeted or blogged at work or showed up nursing a hungover – but there’s something about the brazen swagger of this trio that really grinds my gears.  I also have to call into question the senior staff – what sort of work environment, especially a public servant’s office, would allow this kind of activity to happen?

Does anyone know someone who was fired for something they said on social media?  Any positive or negative experiences with coworkers exhibiting behavior similar to these staffers, regardless of age?  Share your stories in the comments!


Uncharted Waters

As I mentioned a few weeks ago, I’m starting a new job in January that is quite far out of my “field”.  I keep throwing around the word “field” as if I’ve been employed for decades and have reached a level of knowledge and technique that would suggest that I am an expert.  What I really mean by “field” is basically that I’ve been generally working for non-profits (specifically museums) for most of my “career” and since I’m not sure I “know” how to “do” anything else, my “field” is museum education.

A note on the quotation marks – I just feel so uncomfortable speaking about what I believe to such grown-up, vast, grand concepts such as career and field and qualifications.  Even though I’ve amassed five years of post-graduate employment (and plenty of years of working while in school), I still often feel like a newbie.  Is this common?  Or is my growth stunted?

I digress.  What I’m starting to grapple with now, as the reality of my job shift is setting in, is the question of whether I can excel at something new.  I know that I am bright and resourceful and possess a fair modicum of the Protestant work ethic I was born with (the parts that Twitter hasn’t eroded away yet…) and yet I fear that being so far out of my depth is going to end in disaster, or even worse, boredom.

To help brace myself for the change, I’ve been obsessively reviewing my new employer’s website, reading news updates, and trying to make myself as knowledgeable as possible about my boss, to at least give the impression of competency.  I’ve also been spending a little time researching possible graduate program options, to remind myself that part of the reason for taking this job is giving myself the option to go back to school.  Despite all my rational preparations, I can’t help feeling nervous.

Ultimately, I think this comes back to the fact that, in many ways, I’m not as confident as I was in my early 20s.  During the end of college and my first few years following, I felt so brazen and ready for anything.  I jumped into a job that I was woefully underqualified for – luckily, my sink or swim instincts kicked  in and it worked out quite well.  Perhaps because I’ve done a bit more sinking since then, I’m a little worried my instincts might be rusty.

Any advice, readers?


Friday Frivolity: Time for a New Job

Oh dear.  A week has come and gone without a new post.  I’m sure you all could just die from not surprise.  As you can imagine, between officially giving notice and the holiday season, I’ve been a little too focused on being a productive employee (for these final few weeks, at least) and holiday party planning to do much blogging.  I hope you will all forgive me and check back in next week, for which I have a couple really good posts percolating.

**Attached: records of molecules**
<<<
# C4H14N3O

A 2-piece molecular cluster, C4H14N3O overall (wB97M-V/def2-TZVPD, the OMol25 dataset).

Bonds (Å) are listed after each position.
CARTESIAN COORDINATES (ANGSTROEM)
1 C -1.914 -0.587 0.453  C2 1.523, N7 1.504, H8 1.085, H9 1.089
2 C -0.995 -1.268 -0.552  C1 1.523, C3 1.516, H10 1.092, H11 1.086
3 C -0.025 -0.248 -1.116  C2 1.516, C4 1.337, N6 1.396
4 C 1.271 -0.455 -0.857  C3 1.337, N5 1.427, H12 1.083
5 N 2.293 0.537 -0.949  C4 1.427, H13 1.011, H14 1.019
6 N -0.570 0.969 -1.528  C3 1.396, H15 1.006, H16 1.004
7 N -1.076 -0.136 1.618  C1 1.504, H17 1.017, H18 1.021, H19 1.026
8 H -2.641 -1.312 0.803  C1 1.085
9 H -2.408 0.308 0.078  C1 1.089
10 H -0.424 -2.027 -0.013  C2 1.092
11 H -1.578 -1.761 -1.324  C2 1.086
12 H 1.620 -1.442 -0.580  C4 1.083
13 H 3.161 0.089 -1.208  N5 1.011
14 H 2.096 1.283 -1.615  N5 1.019
15 H -1.454 0.939 -2.006  N6 1.006
16 H 0.105 1.584 -1.946  N6 1.004
17 H -1.647 0.003 2.448  N7 1.017
18 H -0.294 -0.758 1.833  N7 1.021
19 H -0.589 0.732 1.370  N7 1.026
20 H 1.893 1.451 2.423  O22 0.964
21 H 1.815 1.107 0.905  O22 0.978
22 O 1.361 0.991 1.764  H20 0.964, H21 0.978

2S+1: 1
Net charge: +1
Gap between HOMO and LUMO, eV: 8.57
Relative energy (zero: lowest compared OMol25 entry of this formula, charge and spin), kJ/mol: 121.4

~~~~~

This record from OMol25 describes C15H16BrClN4O3S in the gas phase. The level of theory is ωB97M-V/def2-TZVPD.

Geometry (Å):
1 C 3.177 4.390 0.039
2 C 2.035 3.456 -0.200
3 C 1.407 2.785 0.841
4 C 0.356 1.913 0.628
5 C -0.096 1.686 -0.667
6 N -1.125 0.785 -0.977
7 C -1.837 -0.014 -0.141
8 O -1.733 -0.008 1.069
9 C -2.772 -0.953 -0.892
10 C -3.514 -1.917 0.045
11 N -2.673 -2.594 1.006
12 S -1.425 -3.532 0.437
13 O -1.135 -4.489 1.470
14 O -1.775 -3.999 -0.870
15 C 0.001 -2.455 0.326
16 C 0.479 -2.048 -0.895
17 C 1.547 -1.158 -0.918
18 Br 2.229 -0.527 -2.567
19 C 2.087 -0.725 0.283
20 N 1.654 -1.148 1.451
21 C 0.630 -2.005 1.504
22 N 0.191 -2.394 2.716
23 C 0.509 2.355 -1.728
24 C 1.556 3.223 -1.488
25 Cl 2.284 4.026 -2.834
26 H 3.419 4.442 1.097
27 H 2.928 5.389 -0.317
28 H 4.057 4.058 -0.510
29 H 1.754 2.945 1.851
30 H -0.105 1.405 1.457
31 H -1.315 0.702 -1.967
32 H -3.502 -0.366 -1.452
33 H -2.187 -1.540 -1.603
34 H -4.278 -1.379 0.610
35 H -3.991 -2.693 -0.556
36 H -2.351 -1.969 1.734
37 H 0.028 -2.430 -1.799
38 H 2.907 -0.020 0.307
39 H 0.765 -2.144 3.503
40 H -0.361 -3.244 2.750
41 H 0.176 2.190 -2.742

Its orbital gap is 8.918 eV. The calculation puts the energy above the lowest of the compared OMol25 structures with the same formula, charge and spin at 0.0 kJ/mol. Its structure (SMILES) is Cc1ccc(NC(=O)CCNS(=O)(=O)c2cc(Br)cnc2N)cc1Cl.

This record from OMol25 describes C15H16Cl2FMnNSSi as an isolated structure. The level of theory is ωB97M-V/def2-TZVPD.

Geometry (Å):
1 Mn -0.014 -0.686 0.026
2 C 4.774 1.194 -0.264
3 Si 3.042 0.621 -0.628
4 C 2.389 -0.385 0.850
5 C 3.002 -0.478 -2.137
6 N 2.059 2.021 -0.852
7 C 0.783 2.083 -1.178
8 C 0.307 3.332 -1.694
>>>
**So much for the records of molecules**

For this week’s Friday frivolity, I was inspired by last night’s super-awesome-fantastic-six-seasons-and-a-movie episode of Community.  The episode (which you should all go watch RIGHT NOW if you haven’t already) featured a guest appearance by Taran Killam, who is one of my television faves.  He nailed the role of the glee choir director last night, lambasting Matt Morrison’s ridiculous performance as Will Schuester on Glee.  This appearance reminded me how much I love Killam’s work and how sad I am that he’s stuck with guest starring roles, due to his contract with the barely-adequate Saturday Night Life.

So, in the spirit of New Years and new jobs, here are a few television all-stars I think should be dusting off their resumes and finding a better home for their talents:

  • Max Greenfield – I first fell in love with Max as the charming Deputy Leo on Veronica Mars and have enjoyed every cameo he’s made since then (especially as Max’s boyfriend on Happy Endings – let’s get those crazy kids back together!)  Sadly, his perfect mix of slightly douche but vulnerably lovable is wasted on the tragically un-funny New Girl.
  • Naya RiveraHave you seen her?  Seriously, people don’t usually look like that.  On top on her looks, she’s an incredible actress with serious pipes and the ability to move.  She should be looking to be the next huge pop star, not wasting her time on the hot mess that has become Glee
  • Nate Corddry – Once a delightfully wry Daily Show correspondent (just like his brother, Rob), Corddry is wasting away on the unimaginable popular Harry’s Law.  His work in The Pacific proved he can do gritty – perhaps he’s willing to see out a guest role on Breaking Bad?
  • Ellie Kemper – Look, The Office is not a bad show.  It’s not as a good as it was but it’s not terrible.  One of the best things this show has going for it is Ellie Kemper, whose sweet, slightly dim receptionist Erin is the shining light in an uneven, post-Carrell season.  She’s clearly outgrown the show – perhaps her character can run off to help Michael and Kemper can head to funnier pastures.
  • Maulik Pancholy – Why, why, why is Pancholy, best known as Sanjay or Jonathan in my house, wasting his time on Whitney?  I can only assume he lost an epic game of Words with Friends to Alec Baldwin.
  • Melissa McCarthy – It almost goes without saying but Sookie St. James deserves better than Mike and Molly and her breakout performance in this summer’s Bridesmaids should have had her agent freeing her up for better gigs.
  • Ty Burrell – Everything good about Modern Family stems from Burrell’s brilliance as Phil Dunphy.  Even as the show has rapidly declined in quality, Burrell slays with the best and worst material thrown at him.  That kind of work ethic and showmanship would be better suited for the big screen.  It’s time
  • Finally, in addition to the aforementioned Taran Killam, let’s spring Jay Pharoah and Bill Hader from their SNL prisons.  I’d love to see the trio on a dark comedy, perhaps on FX.

As you head into your weekend, who would you suggest could use a TV job upgrade?  Leave your thoughts in the comments and have a great weekend!